Wanted:
Your job: echo everything further below without additions.

Data:
____________
Density functional theory data (the ωB97M-V functional and the def2-TZVPD basis) for C30H75CaN6O13 as an isolated structure in a non-equilibrium geometry.

Cartesian coordinates (Å):
Ca: 3.054 -1.358 -1.549
O: -1.484 -4.217 2.493
O: 0.935 -2.386 -2.237
O: -4.036 2.347 2.799
O: 0.737 1.689 0.361
O: 4.561 0.721 -2.083
O: 0.267 -0.140 1.330
O: 2.719 1.862 -5.615
O: 2.708 -2.886 0.246
O: -5.473 -4.606 -1.152
O: -0.741 5.920 2.311
O: 2.099 -0.444 5.518
O: -1.373 3.717 -3.864
O: 1.297 -0.142 -0.527
N: -0.964 4.264 -0.239
N: 4.226 -0.575 0.422
N: -2.458 -4.660 -0.218
N: 0.717 0.457 0.377
N: 2.396 -0.243 -3.587
N: -1.149 0.183 3.773
C: -2.473 -3.458 1.828
C: 3.101 -2.503 1.579
C: -0.048 0.442 4.793
C: 1.548 1.819 -4.763
C: 3.575 -0.985 1.673
C: 4.272 0.895 0.291
C: 5.124 1.266 -0.903
C: 5.283 1.009 -3.245
C: -2.292 1.144 3.963
C: -3.235 1.129 2.760
C: -3.149 -5.575 -1.123
C: -0.658 3.919 -2.643
C: -3.328 -4.218 0.805
C: -2.343 4.709 -4.239
C: -0.705 -3.487 3.357
C: -0.143 -2.805 -1.414
C: -4.232 -4.817 -1.895
C: -1.893 4.246 0.906
C: 0.935 -0.687 4.700
C: 2.671 -4.318 0.029
C: -6.421 -4.009 -1.950
C: 2.421 2.499 -6.906
C: 0.095 6.254 3.391
C: -4.792 2.554 3.976
C: 1.774 1.095 -3.404
C: -1.556 3.743 -1.416
C: 0.374 -1.701 -3.355
C: 1.470 -1.213 -4.241
C: 3.002 -1.574 5.608
C: -0.990 4.497 2.172
H: -3.664 -5.132 1.295
H: 1.127 -0.884 3.645
H: -4.093 -3.566 0.383
H: 2.647 -2.505 6.050
H: -4.419 -5.356 -2.824
H: -0.307 -2.593 2.876
H: -7.400 -4.015 -1.470
H: 3.597 -4.872 0.188
H: 2.080 3.517 -6.717
H: 0.814 1.068 -2.888
H: 0.097 7.343 3.341
H: 1.121 5.907 3.270
H: 0.428 -1.556 5.119
H: 3.004 0.020 -4.350
H: -5.438 3.432 3.975
H: 5.280 2.091 -3.376
H: 0.439 1.367 4.484
H: 2.251 -2.660 2.243
H: 6.145 0.884 -0.899
H: 3.357 2.426 -7.459
H: -2.022 -2.578 1.370
H: 0.704 1.397 -5.310
H: -2.667 1.257 1.839
H: -1.772 -5.122 0.361
H: 0.156 3.211 -2.486
H: -0.178 3.660 -0.048
H: -1.153 -3.179 4.302
H: -3.895 -3.846 -2.259
H: 4.618 1.340 1.224
H: -2.497 -6.027 -1.870
H: 4.321 -0.859 2.459
H: -2.420 4.718 -5.326
H: 1.657 2.037 -7.531
H: 3.274 -1.811 4.579
H: -1.862 2.136 4.102
H: -0.444 0.620 5.793
H: -0.216 6.067 4.418
H: -0.248 4.928 -2.617
H: 3.285 1.304 0.078
H: -0.043 3.969 2.058
H: -0.118 -0.808 -2.970
H: -1.972 5.678 -3.905
H: -1.796 2.687 -1.293
H: 4.773 0.520 -4.075
H: -6.238 -2.959 -2.180
H: -3.592 -6.376 -0.531
H: 2.480 1.648 -2.785
H: 0.147 -3.296 -0.485
H: 0.204 -4.079 3.466
H: 5.205 2.350 -0.983
H: -2.522 4.161 -1.700
H: 5.175 -0.906 0.512
H: -3.309 4.469 -3.796
H: 2.369 -4.596 -0.981
H: -2.317 3.244 0.974
H: 3.891 -1.213 6.126
H: 1.107 -0.872 -5.210
H: -0.712 0.412 2.892
H: -2.759 0.881 4.912
H: 2.059 -2.114 -4.415
H: 1.929 -4.815 0.654
H: -6.479 -4.586 -2.873
H: -0.821 -3.495 -1.916
H: 1.257 2.853 -4.582
H: -4.262 2.686 4.920
H: -5.511 1.770 4.211
H: -3.785 0.188 2.750
H: 2.669 -0.427 1.911
H: 3.888 -3.107 2.032
H: 6.339 0.740 -3.208
H: -0.351 -2.339 -3.861
H: -0.699 -1.935 -1.066
H: -2.642 5.037 0.920
H: -1.486 4.174 3.087
H: -3.217 -3.084 2.531

Output
E_LUMO = -3.24 eV
Maximum force = 0.064 hartree/bohr
Charge = +1
HOMO-LUMO gap = 0.24775 Eh

Density functional theory data (the ωB97M-V functional and the def2-TZVPD basis) for C30H75F4K2N2O28P5S4 as an isolated structure in a non-equilibrium geometry.

Cartesian coordinates (Å):
K: -3.931 -4.120 0.326
K: -5.702 -0.705 -0.160
S: -2.212 -0.493 1.919
S: -6.442 -0.966 5.382
S: -2.027 -0.902 -0.333
S: -7.975 -0.459 7.072
P: 3.431 4.486 1.182
P: -4.927 1.977 -3.377
P: 0.871 -0.266 -5.032
P: 3.802 -5.994 -2.771
P: -0.359 1.729 7.902
F: -9.127 0.653 7.419
F: -5.116 -0.136 5.173
F: -3.395 -0.713 2.960
F: -2.413 -1.987 -1.520
O: 0.100 -1.398 -4.215
O: -1.494 1.561 9.085
O: 0.867 0.731 8.484
O: -6.206 2.376 -4.302
O: -4.039 1.095 -4.439
O: -1.013 -1.053 2.565
O: 0.102 0.417 -6.068
O: -4.069 3.315 -3.260
O: 3.381 -5.733 -4.162
O: 3.139 -4.923 -1.791
O: -5.269 1.226 -2.133
O: 2.189 -1.025 -5.617
O: 0.037 3.115 7.520
O: 3.858 3.629 -0.148
O: 2.872 5.823 0.911
O: -7.175 -0.507 8.253
____________

Response:
Density functional theory data (the ωB97M-V functional and the def2-TZVPD basis) for C30H75CaN6O13 as an isolated structure in a non-equilibrium geometry.

Cartesian coordinates (Å):
Ca: 3.054 -1.358 -1.549
O: -1.484 -4.217 2.493
O: 0.935 -2.386 -2.237
O: -4.036 2.347 2.799
O: 0.737 1.689 0.361
O: 4.561 0.721 -2.083
O: 0.267 -0.140 1.330
O: 2.719 1.862 -5.615
O: 2.708 -2.886 0.246
O: -5.473 -4.606 -1.152
O: -0.741 5.920 2.311
O: 2.099 -0.444 5.518
O: -1.373 3.717 -3.864
O: 1.297 -0.142 -0.527
N: -0.964 4.264 -0.239
N: 4.226 -0.575 0.422
N: -2.458 -4.660 -0.218
N: 0.717 0.457 0.377
N: 2.396 -0.243 -3.587
N: -1.149 0.183 3.773
C: -2.473 -3.458 1.828
C: 3.101 -2.503 1.579
C: -0.048 0.442 4.793
C: 1.548 1.819 -4.763
C: 3.575 -0.985 1.673
C: 4.272 0.895 0.291
C: 5.124 1.266 -0.903
C: 5.283 1.009 -3.245
C: -2.292 1.144 3.963
C: -3.235 1.129 2.760
C: -3.149 -5.575 -1.123
C: -0.658 3.919 -2.643
C: -3.328 -4.218 0.805
C: -2.343 4.709 -4.239
C: -0.705 -3.487 3.357
C: -0.143 -2.805 -1.414
C: -4.232 -4.817 -1.895
C: -1.893 4.246 0.906
C: 0.935 -0.687 4.700
C: 2.671 -4.318 0.029
C: -6.421 -4.009 -1.950
C: 2.421 2.499 -6.906
C: 0.095 6.254 3.391
C: -4.792 2.554 3.976
C: 1.774 1.095 -3.404
C: -1.556 3.743 -1.416
C: 0.374 -1.701 -3.355
C: 1.470 -1.213 -4.241
C: 3.002 -1.574 5.608
C: -0.990 4.497 2.172
H: -3.664 -5.132 1.295
H: 1.127 -0.884 3.645
H: -4.093 -3.566 0.383
H: 2.647 -2.505 6.050
H: -4.419 -5.356 -2.824
H: -0.307 -2.593 2.876
H: -7.400 -4.015 -1.470
H: 3.597 -4.872 0.188
H: 2.080 3.517 -6.717
H: 0.814 1.068 -2.888
H: 0.097 7.343 3.341
H: 1.121 5.907 3.270
H: 0.428 -1.556 5.119
H: 3.004 0.020 -4.350
H: -5.438 3.432 3.975
H: 5.280 2.091 -3.376
H: 0.439 1.367 4.484
H: 2.251 -2.660 2.243
H: 6.145 0.884 -0.899
H: 3.357 2.426 -7.459
H: -2.022 -2.578 1.370
H: 0.704 1.397 -5.310
H: -2.667 1.257 1.839
H: -1.772 -5.122 0.361
H: 0.156 3.211 -2.486
H: -0.178 3.660 -0.048
H: -1.153 -3.179 4.302
H: -3.895 -3.846 -2.259
H: 4.618 1.340 1.224
H: -2.497 -6.027 -1.870
H: 4.321 -0.859 2.459
H: -2.420 4.718 -5.326
H: 1.657 2.037 -7.531
H: 3.274 -1.811 4.579
H: -1.862 2.136 4.102
H: -0.444 0.620 5.793
H: -0.216 6.067 4.418
H: -0.248 4.928 -2.617
H: 3.285 1.304 0.078
H: -0.043 3.969 2.058
H: -0.118 -0.808 -2.970
H: -1.972 5.678 -3.905
H: -1.796 2.687 -1.293
H: 4.773 0.520 -4.075
H: -6.238 -2.959 -2.180
H: -3.592 -6.376 -0.531
H: 2.480 1.648 -2.785
H: 0.147 -3.296 -0.485
H: 0.204 -4.079 3.466
H: 5.205 2.350 -0.983
H: -2.522 4.161 -1.700
H: 5.175 -0.906 0.512
H: -3.309 4.469 -3.796
H: 2.369 -4.596 -0.981
H: -2.317 3.244 0.974
H: 3.891 -1.213 6.126
H: 1.107 -0.872 -5.210
H: -0.712 0.412 2.892
H: -2.759 0.881 4.912
H: 2.059 -2.114 -4.415
H: 1.929 -4.815 0.654
H: -6.479 -4.586 -2.873
H: -0.821 -3.495 -1.916
H: 1.257 2.853 -4.582
H: -4.262 2.686 4.920
H: -5.511 1.770 4.211
H: -3.785 0.188 2.750
H: 2.669 -0.427 1.911
H: 3.888 -3.107 2.032
H: 6.339 0.740 -3.208
H: -0.351 -2.339 -3.861
H: -0.699 -1.935 -1.066
H: -2.642 5.037 0.920
H: -1.486 4.174 3.087
H: -3.217 -3.084 2.531

Output
E_LUMO = -3.24 eV
Maximum force = 0.064 hartree/bohr
Charge = +1
HOMO-LUMO gap = 0.24775 Eh

Density functional theory data (the ωB97M-V functional and the def2-TZVPD basis) for C30H75F4K2N2O28P5S4 as an isolated structure in a non-equilibrium geometry.

Cartesian coordinates (Å):
K: -3.931 -4.120 0.326
K: -5.702 -0.705 -0.160
S: -2.212 -0.493 1.919
S: -6.442 -0.966 5.382
S: -2.027 -0.902 -0.333
S: -7.975 -0.459 7.072
P: 3.431 4.486 1.182
P: -4.927 1.977 -3.377
P: 0.871 -0.266 -5.032
P: 3.802 -5.994 -2.771
P: -0.359 1.729 7.902
F: -9.127 0.653 7.419
F: -5.116 -0.136 5.173
F: -3.395 -0.713 2.960
F: -2.413 -1.987 -1.520
O: 0.100 -1.398 -4.215
O: -1.494 1.561 9.085
O: 0.867 0.731 8.484
O: -6.206 2.376 -4.302
O: -4.039 1.095 -4.439
O: -1.013 -1.053 2.565
O: 0.102 0.417 -6.068
O: -4.069 3.315 -3.260
O: 3.381 -5.733 -4.162
O: 3.139 -4.923 -1.791
O: -5.269 1.226 -2.133
O: 2.189 -1.025 -5.617
O: 0.037 3.115 7.520
O: 3.858 3.629 -0.148
O: 2.872 5.823 0.911
O: -7.175 -0.507 8.253